== Work order ==
Now retype the lines further below from the one with "-0.5093" to the one with "-1.432" without altering anything.

== Source ==
┌──
a.
Here is one molecule with the formula C5H7ClN2 from OMol25. Energies are from ωB97M-V/def2-TZVPD.

Element x y z (Å)
C -1.394 0.184 0.554
H -2.068 -2.677 -0.918
C -0.373 1.090 0.742
C 1.780 -0.029 0.059
C -2.200 -1.840 -0.145
Cl 1.377 -1.685 0.427
N 3.068 0.136 -0.439
C 1.012 1.079 0.361
H -2.379 0.330 1.027
N -1.363 -0.898 -0.300
H -0.872 2.015 1.196
H 3.612 -0.677 -0.432
H -2.876 -1.943 0.761
H 1.568 1.975 0.294
H 3.788 0.893 -0.171

E_HOMO in eV: -7.460
SMILES string: C=N/C=C\C=C(\N)Cl
Molar mass in g/mol: 130.6
Charge: 0

b.
Here is one molecule with the formula C5H7ClN2 from OMol25. Energies are from ωB97M-V/def2-TZVPD.

Element x y z (Å)
H 1.432 2.293 -0.520
C -2.348 -0.608 0.519
H -1.011 1.959 0.635
H 0.217 -1.760 -0.172
N -0.493 1.194 0.307
H 3.553 0.141 -0.416
C 0.299 -0.726 0.058
H 2.852 -1.116 -1.171
C 1.378 0.001 -0.176
C -0.933 -0.085 0.471
C 0.853 1.363 -0.034
N 2.615 -0.402 -0.545
H -2.427 -1.687 0.084
Cl -3.406 0.225 -0.663
H -2.581 -0.792 1.623

E_HOMO in eV: -7.398
SMILES string: Nc1c[nH]c(CCl)c1
Molar mass in g/mol: 130.6
Charge: 0

Which structure above is the least stable one? a is the least stable one.

* * * * *

[1]
Density functional theory data (wB97M-V/def2-TZVPD) for a cluster of 7 separate species, C21H28O21 in total in a non-equilibrium geometry.

Each line ends with the Mulliken charge.
CARTESIAN COORDINATES (ANGSTROEM)
H  6.280  -1.061  -1.010  0.3425
H  1.833  -1.796  2.894  0.0835
C  -0.575  -2.831  -3.793  0.6757
H  4.853  -0.983  0.077  -0.4698
C  -4.299  -1.301  -1.952  -0.2682
O  -4.083  3.893  2.601  -0.5080
H  -3.998  -0.598  3.890  0.3336
H  0.964  -2.349  -1.481  -0.4084
C  0.414  2.392  -0.101  0.0779
C  -3.194  -0.540  3.163  -0.3593
H  4.806  1.423  -0.702  0.3494
O  -4.200  -0.259  -0.904  -0.3817
O  0.207  -0.317  3.500  -0.5977
O  -2.006  -0.756  3.905  -0.3642
C  0.316  -3.194  -1.706  0.2739
C  -3.523  -0.696  -3.133  0.1597
C  4.894  0.678  -1.440  -0.4357
H  -2.691  -1.319  -3.525  -0.1416
H  2.378  -3.371  3.616  0.2712
O  1.515  -3.454  1.784  -0.2853
O  -2.109  4.507  1.687  -0.1247
O  2.670  -1.316  -3.094  -0.5093
H  -0.499  5.766  1.108  0.3786
H  2.079  -3.952  -2.738  0.3015
C  5.198  -0.728  -0.963  0.4916
C  -2.903  0.702  2.308  0.7707
O  -1.466  0.725  2.317  -0.0664
C  1.727  0.592  0.298  0.1384
H  0.895  -5.181  -2.581  0.3021
C  1.058  -4.104  -2.761  -0.3810
C  3.460  -0.886  -2.346  0.7197
C  2.390  -3.968  0.896  0.7723
C  3.686  -2.576  2.050  0.1140
O  -0.793  -2.655  -2.495  -0.3308
H  -0.453  2.521  0.554  -0.1227
C  -3.296  4.715  2.274  0.5278
H  4.414  -2.848  2.805  0.3958
H  -3.276  1.649  2.821  -0.0014
O  3.581  0.444  -2.044  -0.3593
C  0.164  1.252  -1.142  0.5682
O  -1.162  -2.283  -4.674  -0.6059
O  2.629  -0.103  0.734  -0.5792
H  3.957  -1.664  1.593  -0.1797
H  -3.254  0.643  1.323  -0.4017
H  -3.780  -2.162  -1.493  0.2573
O  2.056  -4.756  0.044  -0.6355
H  -5.383  -1.432  -2.184  0.2454
O  1.539  1.885  0.566  -0.3823
C  -1.565  5.770  1.269  -0.4076
H  0.025  -3.682  -0.826  0.5624
H  -4.280  -0.345  -3.887  0.2966
H  -3.350  -1.397  2.487  0.2048
C  -2.154  6.679  2.363  -0.4562
O  4.496  -1.584  -1.802  -0.3287
H  -2.132  6.102  0.395  0.2841
H  -0.872  1.015  -1.326  -0.5561
H  0.755  1.484  -2.079  0.2671
O  0.465  -3.727  -3.975  -0.4177
O  0.830  0.156  -0.487  0.2041
O  -2.958  0.484  -2.586  -0.3364
C  -0.966  -0.110  3.248  0.4457
H  5.566  0.964  -2.208  0.3029
C  2.306  -2.700  2.699  -0.1331
H  0.811  3.309  -0.524  0.3279
O  3.656  -3.605  1.040  -0.3418
O  -2.976  1.692  -0.754  -0.5469
H  -2.300  7.626  1.935  0.3511
O  -3.431  6.045  2.592  -0.3630
H  -1.546  6.756  3.231  0.2874
C  -3.400  0.720  -1.349  0.7022

Properties
- HOMO-LUMO gap: 0.402 hartree
- HOMO: -10.5 eV
- Relative energy (zero: lowest compared OMol25 entry of this formula, charge and spin): 61.0 kJ/mol
- E_tot: -65228.2805 eV
- SMILES: O=C1OCCO1.O=C1OCCO1.O=C1OCCO1.O=C1OCCO1.O=C1OCCO1.O=C1OCCO1.O=C1OCCO1
- Total charge: 0
└──

== Outcome ==
O  2.670  -1.316  -3.094  -0.5093
H  -0.499  5.766  1.108  0.3786
H  2.079  -3.952  -2.738  0.3015
C  5.198  -0.728  -0.963  0.4916
C  -2.903  0.702  2.308  0.7707
O  -1.466  0.725  2.317  -0.0664
C  1.727  0.592  0.298  0.1384
H  0.895  -5.181  -2.581  0.3021
C  1.058  -4.104  -2.761  -0.3810
C  3.460  -0.886  -2.346  0.7197
C  2.390  -3.968  0.896  0.7723
C  3.686  -2.576  2.050  0.1140
O  -0.793  -2.655  -2.495  -0.3308
H  -0.453  2.521  0.554  -0.1227
C  -3.296  4.715  2.274  0.5278
H  4.414  -2.848  2.805  0.3958
H  -3.276  1.649  2.821  -0.0014
O  3.581  0.444  -2.044  -0.3593
C  0.164  1.252  -1.142  0.5682
O  -1.162  -2.283  -4.674  -0.6059
O  2.629  -0.103  0.734  -0.5792
H  3.957  -1.664  1.593  -0.1797
H  -3.254  0.643  1.323  -0.4017
H  -3.780  -2.162  -1.493  0.2573
O  2.056  -4.756  0.044  -0.6355
H  -5.383  -1.432  -2.184  0.2454